I need some help! I’m trying to create a new class for my son, who I’m trying to break into tabletop RPGs and away from the console games, and thought he might like it more if he could play a pokémon master in a fantasy world. Plus, it just seemed like an awesome thing to make.
I can’t figure out how to make the ‘Monster Catcher’s monsters to act properly. They’re not a ranger’s animal companion – the monster catcher doesn’t do anything but suggest actions while the monsters go out and do them, they don’t ‘work together’ at all, for the most part. I don’t want to make the mechanics with this too difficult but I do want it to reflect the fact that the monster catcher isn’t doing anything but telling the monster what to do.
The current plan is to give each monster a set of stats like a ranger’s animal companion – maybe rename them to be more thematic for the class – and a loyalty score as well. When you try to get your monster to perform an action for you, roll + loyalty. But then you’re ignoring the monster’s stats completely.
I could have the roll be cha + associated stat, but anyone looking at the class will give their monster catcher a high charisma, and almost never fail rolls – at least, have a much better chance not to.
Loyalty + monster stat? Then I’m not bringing in the monster catcher’s skill at all, and it’s all on the monster.
Anyone have any advice?
Why not stat out monsters as extra characters? In a pokemon battle it’s mostly the pokemon that does something. The trainer-stats aren’t that important…
Just off the top of my head: stat each ‘mon up like a normal monster, with one damaging move and two or three backup moves. From there, you can set something up like the Hirelings move, where the Trainer has a Bond with the ‘mon.
When you give your pokemon a command, roll +Bond. On a 10+, the ‘mon performs the move you tell them to use. On a 7-9, they use a different move or ignore you completely.
To add what Tim Franzke has to say, why not take the Ranger as a guide and just flip it? What I mean by that is to make the Monster Catcher the equivalent of the Ranger’s animal companion. In the Pokemon games, aside from travelling in the overworld, the trainer itself was largely irrelevant, it was the monsters that shined.
To abstract it further, you could have an out of combat move that allows the Trainer to switch Pokemon for a different type for any sensed upcoming danger. “Oh, we’ve got a swath of undead coming up next, maybe having your Charmander out to burn those guys might be a good idea.”
Couldn’t you simply use the Druid’s Shapeshifter move? Instead of shapeshifting, he’s summoning creatures, he uses the same hold to give commands to his monster, which you could call “Loyalty”.
Downside : kind of OP since the monster takes the hits instead of the character himself. Upside : simplicity.
Having your charmander out is always a good idea
David Lacerte Great point, man. I’m all about simplicity myself; if it is at all possible to reuse an existing structure, or re-fluff it, I’m all for it. It’s easier for everyone involved.
If you use the Shapeshifter move, with a specific number of monsters/Pokemon to choose from, you can abstract the trainer being out of combat, commanding the creature. I like it.
Sorcerer Blob Sure! I’m a software developr, so not reinventing the wheel is a big part of my job.
I agree about limiting the amount of creatures able to be summoned but add a move or some other means of acquiring new ones.
When you release a monster, roll +Cha. On a 10+, take 2 hold. On a 7-9, take 1 hold. You may spend holds, 1 for 1, to command the monster to make one of their monster moves.
Have another (catch’em all) move for capturing monsters and another for befriending them. Befriending them is how you make one a henchman, capturing them its how you obtain a variety to unleash at opportune times.
what do you do when you are out of hold? Youir monster is ko? You HAVE to swap?
Maybe look at the Dungeon Planet Mutant to work from? It is meant to replace the Druid and works with a fixed number of mutation moves but those can be changed when exposed to a mutagen (gamma rays, chemicals, etc)
You could easily use that as an idea for 3-4 monster balls that you can capture additional creatures, but you have to empty one.
so you would maybe need a “cheer monster up” move.
But then it would be. Unleash Monster Move Monster Move, Cheer, Monster Move Monster Move…
Treat the monsters like they are a character with a few basic moves and special things they can unlock.
Tim Franzke Released monsters are freaked out, cowed. They do what they’re commanded to and then flee or cower. Like coming out of stasis. On a miss, well, they could have just about any kind of disposition… :-)
Perhaps your cheering acts as an aid/hinder?
# What comes next are records of crystals, not part of the piece
~~~
# 1
# SrO3F (PBE-GGA, optimized geometry)
# **Volume**: 19.6 A^3/atom
# **M_tot**: 5.0 μB per cell
# **E_form (uncorrected)**: 0.0748 eV per atom
data_SrO3F
_chemical_formula_sum 'Sr1 O3 F1'
_cell_length_a 4.614
_cell_length_b 4.614
_cell_length_c 4.614
_cell_angle_alpha 90.00
_cell_angle_beta 90.00
_cell_angle_gamma 90.00
_space_group_name_H-M_alt 'P 1'
_space_group_IT_number 1
_space_group_name_Hall 'P 1'
loop_
_atom_site_label
_atom_site_type_symbol
_atom_site_fract_x
_atom_site_fract_y
_atom_site_fract_z
Sr1 Sr 0.000 0.000 0.000
O1 O 0.000 0.500 0.000
O2 O 0.000 0.000 0.500
O3 O 0.500 0.000 0.000
F1 F 0.500 0.500 0.500

# 2
# AcPr3Rh2 (PBE-GGA, optimized geometry)
# **Volume**: 32.1 A^3/atom
# **M_tot**: 0.0 μB per cell
# **ΔE to the lowest computed polymorph**: 0 meV per atom
# **Calculated formation energy**: -487 meV/atom
data_AcPr3Rh2
_chemical_formula_sum 'Ac2 Pr6 Rh4'
_cell_length_a 4.330
_cell_length_b 8.918
_cell_length_c 10.850
_cell_angle_alpha 73.46
_cell_angle_beta 78.49
_cell_angle_gamma 75.95
_space_group_name_H-M_alt 'P 1'
_space_group_IT_number 1
_space_group_name_Hall 'P 1'
loop_
_atom_site_label
_atom_site_type_symbol
_atom_site_fract_x
_atom_site_fract_y
_atom_site_fract_z
Ac1 Ac 0.444 0.400 0.712
Ac2 Ac 0.556 0.600 0.288
Pr1 Pr 0.077 0.019 0.827
Pr2 Pr 0.923 0.981 0.173
Pr3 Pr 0.711 0.667 0.911
Pr4 Pr 0.289 0.333 0.089
Pr5 Pr 0.823 0.814 0.539
Pr6 Pr 0.177 0.186 0.461
Rh1 Rh 0.881 0.323 0.914
Rh2 Rh 0.119 0.677 0.086
Rh3 Rh 0.633 0.089 0.645
Rh4 Rh 0.367 0.911 0.355

=====

{
  "formula": "YMgSc2Cu4",
  "functional": "PBE",
  "state": "optimized geometry",
  "cell": [[-4.050, -1.791, 1.290], [-1.391, -4.043, -1.732], [1.700, -5.666, 5.717]],
  "species": ["Cu", "Sc", "Mg", "Sc", "Cu", "Cu", "Cu", "Y"],
  "fractional_positions": [[0.876, 0.876, 0.373], [0.244, 0.244, 0.267], [0.500, 0.500, 0.500], [0.756, 0.756, 0.733], [0.124, 0.124, 0.627], [0.615, 0.615, 0.154], [0.385, 0.385, 0.846], [0.000, 0.000, 0.000]],
  "e_form_ev_per_atom": -0.209,
  "spacegroup": "R-3m, No. 166"
}

=====

[1]
Compound: Sr2Ca2Cd15
Source: Alexandria via LeMat-Bulk
Functional: GGA-PBE
Structure: optimized geometry

* crystal system: trigonal

abc: 10.3987 10.3987 15.7176
angles: 90.00 90.00 120.00
Space group R-3m (No. 166, hexagonal axes)
Asymmetric unit:
1 Sr 0.0000 0.0000 0.1559 x6
2 Ca 0.0000 0.0000 0.3967 x6
3 Cd 0.0000 0.2956 0.5000 x18
4 Cd 0.0000 0.5000 0.0000 x9
5 Cd 0.0108 0.5054 0.6425 x18

---

[2]
Compound: Sr2CaCd2
Source: Alexandria via LeMat-Bulk
Functional: GGA-PBE
Structure: optimized geometry

* crystal system: tetragonal

abc: 4.3201 4.3201 21.8833
angles: 90.00 90.00 90.00
Space group I4/mmm (No. 139)
Asymmetric unit:
1 Sr 0.0000 0.0000 0.1250 x4
2 Ca 0.0000 0.0000 0.5000 x2
3 Cd 0.0000 0.5000 0.2500 x4

---

[3]
Compound: Sr4CaCd
Source: Alexandria via LeMat-Bulk
Functional: GGA-PBE
Structure: optimized geometry

* crystal system: tetragonal

abc: 4.1360 4.1360 15.9386
angles: 90.00 90.00 90.00
Space group P4/mmm (No. 123)
~~~
# Back to the piece
Treat the monsters like hirelings?
take a look at the Dungeon Planet “Mutant” playbook. It is a Sci-Fi take on the Druid and uses a set of 3 mutations that a character can use the moves associated with them. There is also a move that changes these if the character is exposed to a mutagen (eg – Gamma Rays).
This could operate as having 3 captured monsters and when given the opportunity you can trap another monster at the loss of another creature. Then you can have an advanced move to construct a new capturing device (increasing your creature capacity) and so on.
[These materials data were left in the entry by mistake]
Below is a geometry-optimized Pm2FeHO6 structure, with properties calculated at the GGA+U level.

Values from the calculation:
raw total energy = -6.68 eV/atom
volume = 216 Å³/cell

Cell: 9.421 5.055 5.361 Å, 90.00 122.31 90.00°
Space group C2/m (No. 12)
One atom of each set of equivalent atoms:
Pm1 0.241 0.000 0.229 (multiplicity 4)
Fe1 0.000 0.000 0.500 (multiplicity 2)
H1 0.000 0.500 0.000 (multiplicity 2)
O1 0.041 0.258 0.798 (multiplicity 8)
O2 0.229 0.000 0.653 (multiplicity 4)

----------

{"formula": "Cr2PdF", "functional": "SCAN", "state": "single point on PBEsol structure", "lattice": [[-2.320, -3.310, 1.490], [1.458, -2.334, 3.314], [-1.927, 0.277, 3.843]], "species": ["Cr", "Cr", "Pd", "F"], "frac_coords": [[0.250, 0.250, 0.250], [0.750, 0.750, 0.750], [0.500, 0.500, 0.500], [0.000, 0.000, 0.000]], "raw_formation_energy_mev_per_atom": -244, "sg": "Fm-3m, No. 225"}

***

{"formula": "SrSnPdN2", "functional": "SCAN", "state": "single point on PBEsol structure", "lattice": [[-2.808, 3.033, 0.890], [-0.335, -1.470, 3.950], [3.866, 3.139, 1.496]], "species": ["Sr", "Sn", "Pd", "N", "N"], "frac_coords": [[0.000, 0.000, 0.500], [0.500, 0.500, 0.500], [0.000, 0.000, 0.000], [0.000, 0.500, 0.000], [0.500, 0.000, 0.000]], "raw_formation_energy_mev_per_atom": 1209, "sg": "P4/mmm, No. 123"}

***

{"formula": "MgAg2W", "functional": "SCAN", "state": "single point on PBEsol structure", "lattice": [[-2.359, -0.658, 1.232], [0.806, -4.771, -1.006], [3.176, 2.208, 4.210]], "species": ["Ag", "Ag", "Mg", "W"], "frac_coords": [[0.003, 0.003, 0.007], [0.748, 0.248, 0.497], [0.494, 0.494, 0.988], [0.254, 0.754, 0.509]], "dft_energy_ev_per_cell": -135.22, "sg": "Imm2, No. 44"}

***

{"formula": "BeInCu2", "functional": "SCAN", "state": "single point on PBEsol structure", "lattice": [[-3.294, 0.803, 2.460], [-3.798, -1.418, -1.055], [-1.769, -3.090, 2.207]], "species": ["Be", "Cu", "Cu", "In"], "frac_coords": [[0.500, 0.500, 0.500], [0.000, 0.000, 0.000], [0.250, 0.250, 0.250], [0.750, 0.750, 0.750]], "polymorph_energy_mev_per_atom": 14.0, "sg": "F-43m, No. 216"}

***

{"formula": "ScRuPt2", "functional": "SCAN", "state": "single point on PBEsol structure", "lattice": [[2.794, 0.000, 0.000], [0.000, 2.794, 0.000], [0.000, 0.000, 7.910]], "species": ["Pt", "Pt", "Ru", "Sc"], "frac_coords": [[0.000, 0.000, 0.001], [0.500, 0.500, 0.261], [0.000, 0.000, 0.489], [0.500, 0.500, 0.749]], "dft_energy_ev_per_cell": -191.15, "sg": "P4mm, No. 99"}

***

{"formula": "P2IrS2", "functional": "SCAN", "state": "single point on PBEsol structure", "lattice": [[-1.563, 1.893, -3.718], [2.951, -2.305, -2.414], [-3.193, -3.583, -0.482]], "species": ["P", "P", "S", "S", "Ir"], "frac_coords": [[0.000, 0.500, 0.000], [0.500, 0.000, 0.000], [0.500, 0.500, 0.500], [0.000, 0.000, 0.500], [0.000, 0.000, 0.000]], "polymorph_energy_mev_per_atom": 0.0, "raw_formation_energy_mev_per_atom": 898, "sg": "P4/mmm, No. 123"}

***
I think the big question is how you want to model the trainer/monster relationship, and who you ultimately want in charge. If you want the Trainer to be the “leader” of the relationship, then you can just treat the ‘mon as a hireling or a piece of equipment. If it’s the monster, then that raises the question of what the Trainer’s there for. If it’s an equal partnership then you would probably need new rules.
The thing is, what works in the video game/cartoon (the Trainer tells the ‘mon what to do, then the ‘mon does it without question) doesn’t directly translate well to a tabletop game.
I still want to run -mon in Sorcerer
I haven’t read any of the other comments, so apologies if this has already been suggested…but why don’t you just have your son play as the pokemon, instead of the catcher?
Start with your son’s favorite pokemon. Make each of the pokemon’s abilities or attacks or whatever a move. Then, once your son knows the system, you two can work together to convert the entire Pokedex into playbooks!
You can still collaborate with your son on making a monster catcher, but the catcher is basically a quest machine; he tells the pokemon what to do, the pokemon (as played by your son) does it and earns XP or whatever for it. You can deal with the rancher completely in the fiction, and let your son do the fun stuff with the pokemon themselves.
Thank you for all the responses! I posted this right before going to work and didn’t expect to see this kind of action on my post this soon. Thank you all.
Following that, lemme clarify a bit: I want to make a class that’s more like the tv show, not as much like the console game. I want the trainer to be as important as the monsters that they’re using to fight – the monsters are for utility, but they don’t have hands, or opposable thumbs, or the ability to speak. Plus, the interaction between the monsters and the human is important to me, including the monsters specifically trying to protect the trainer when the trainer gets his or herself into trouble.
I love the suggestions you guys have here. I don’t want to make the monsters their own playbooks, that seems like too much work and effort for either one of us to be able to play the class.
I like the idea of just stealing from druid and using that with a different flavor. That gives me a whole new spendable resource to play with and make other moves based around. When throwing out a monster, make a cha check to gain loyalty, spend that loyalty to get the monster to do what you ask. Another move to allow you to gain more loyalty. When the monster is out of loyalty, it’s ‘defeated’ – it runs from battle, goes back to it’s master, etc. Moves that let you spend your monster’s loyalty in a larger scale to gain more stuff – more powerful abilities.
The monster doesn’t need stats, just moves like you’d give to a monster. Then spend loyalty to make those moves like a druid would in shapechange form.
Here’s a point of confusion for me: Does the druid have to make rolls for the moves it makes while in shapechanged form? It seems like they’d have to, but the rules don’t say so.
No, druids don’t roll for the moves they get from Shapeshift, because they’re like monster moves.
Awesome. Thank you everyone!
Druid must spend one hold for every move he wants to trigger while shapehifted. If he rolled a 10+ he’ll have 3hold to spend, if he rolled a 6-, only 1hold.